Office of Statewide Prosecution
The Attorney General's Office of Statewide Prosecution is directed by the Florida Constitution to prosecute crimes that impact two or more judicial circuits in the State of Florida. Working regularly with state and federal counterparts, the office focuses on complex, often large scale, organized criminal activity. The Office of Statewide Prosecution is authorized to act throughout Florida and works closely with law enforcement and State Attorneys to coordinate the prosecutions of multi-circuit violations of State law.
The Statewide Prosecutor is appointed by the Attorney General from a list of nominees selected by the Florida Supreme Court Judicial Nominating Commission. The Statewide Prosecutor serves a term of four years and acts as the agency head for eight offices throughout the state.
Florida’s Constitution recognizes the importance of victims in the judicial proceedings, and the Office of Statewide Prosecution ensures that crime victims’ rights are protected during these proceedings. Below are links to help crime victims and others involved in prosecutions by the Office of Statewide Prosecution. The statuses of the court’s proceedings are available below as well.
Each year the Statewide Prosecutor submits a report to the Governor, the Attorney General, and Florida’s Legislature. Those reports highlight successes and outline goals for the years ahead.
Crime victims are the heart of each case prosecuted by the Office. Florida’s Constitution recognizes the importance of victims in the judicial proceedings. Below are links to help crime victims and, if you are involved in a case being prosecuted by the Office, you can check on the status of the court’s proceedings.
OSP Bureaus |
PL-01, The Capitol
Tallahassee, FL 32399-1050
SC 994-3700
Fax (850)922-6191
SC Fax 292-6191
Statewide Prosecutor: Nicholas B. Cox
Chief: Brian Fernandes
West Palm Beach Office
Flagler Waterview Building
1515 N. Flagler Drive, Suite 900
West Palm Beach, FL 33401
SC 252-5000
Fax (561)837-5107
SC 252-5107
Chief: Jonathan Bridges
Here the piece breaks off for records of molecules:
........
Entry 1:
The molecule C4H9NO2. Source: the Open Molecules 2025 dataset; level of theory: ωB97M-V with the def2-TZVPD basis set.

Atoms and positions in Å:
1 C -2.043 -0.782 -0.337
2 C -0.623 -0.277 -0.525
3 O -0.755 0.984 -1.138
4 C 0.128 -0.223 0.815
5 N 1.579 -0.063 0.669
6 C 2.180 0.993 0.080
7 O 1.614 1.991 -0.347
8 H -2.084 -1.810 0.040
9 H -2.542 -0.722 -1.308
10 H -2.569 -0.107 0.350
11 H -0.049 -0.976 -1.166
12 H 0.019 1.513 -0.882
13 H -0.282 0.582 1.438
14 H -0.026 -1.163 1.358
15 H 2.179 -0.818 0.966
16 H 3.274 0.878 -0.013

Results
**Spin multiplicity**: 1
**Relative energy (zero: lowest compared OMol25 entry of this formula, charge and spin)**: 0.772 eV
**HOMO level**: -9.922 eV


Entry 2:
A cluster of 10 separate species, C36H51BN5O20 in total in a non-equilibrium geometry. Source: the Open Molecules 2025 dataset; level of theory: ωB97M-V with the def2-TZVPD basis set.

Atoms and positions in Å:
1 O -0.409 -2.973 -0.636
2 C 0.179 -2.137 0.028
3 O -0.311 -1.231 0.786
4 B 0.646 -0.226 1.215
5 O 1.973 -0.814 0.894
6 C 1.725 -1.931 0.140
7 O 2.572 -2.655 -0.338
8 O 0.528 0.051 2.661
9 C 0.319 1.323 2.793
10 O 0.183 1.873 3.907
11 C 0.312 2.011 1.429
12 O 0.326 1.008 0.560
13 O 0.305 3.224 1.261
14 C 3.982 -0.070 2.988
15 C 4.170 1.432 2.774
16 O 5.543 1.578 3.185
17 C 6.015 0.329 3.555
18 O 7.152 0.132 4.067
19 O 5.073 -0.515 3.597
20 H 4.028 -0.587 2.029
21 H 3.106 -0.371 3.563
22 H 3.613 2.056 3.473
23 H 3.979 1.799 1.765
24 C 3.916 5.830 0.216
25 C 3.572 4.393 0.355
26 O 3.911 4.074 1.716
27 C 4.150 5.236 2.421
28 O 4.376 5.320 3.640
29 O 3.883 6.308 1.577
30 H 3.199 6.325 -0.440
31 H 4.908 5.985 -0.208
32 H 4.052 3.747 -0.380
33 H 2.502 4.197 0.300
34 C -3.158 -3.841 -1.718
35 C -2.863 -2.807 -2.775
36 O -2.511 -3.674 -3.814
37 C -2.921 -4.923 -3.678
38 O -2.975 -5.815 -4.571
39 O -3.098 -5.120 -2.410
40 H -4.088 -3.777 -1.153
41 H -2.294 -3.950 -1.062
42 H -2.079 -2.148 -2.402
43 H -3.769 -2.284 -3.084
44 C 0.395 3.278 -2.214
45 C -0.472 3.670 -3.386
46 O 0.207 4.760 -3.929
47 C 1.063 5.233 -3.086
48 O 1.643 6.287 -3.214
49 O 1.195 4.347 -2.146
50 H 0.908 2.347 -2.456
51 H -0.296 3.237 -1.372
52 H -1.475 4.041 -3.178
53 H -0.508 2.848 -4.101
54 C -0.223 -0.869 6.984
55 C -0.148 -1.622 5.673
56 C -1.533 -2.029 5.099
57 C -2.564 -2.278 6.116
58 N -3.385 -2.464 6.883
59 H -0.533 -1.554 7.773
60 H -1.018 -0.141 6.823
61 H 0.707 -0.378 7.270
62 H 0.514 -2.488 5.681
63 H 0.226 -0.965 4.888
64 H -1.497 -2.832 4.363
65 H -1.914 -1.182 4.529
66 C 1.718 -2.418 -5.971
67 C 2.573 -1.780 -4.934
68 C 1.696 -1.557 -3.652
69 C 0.579 -0.634 -3.689
70 N -0.354 0.125 -3.688
71 H 0.742 -1.939 -5.889
72 H 1.565 -3.497 -5.978
73 H 2.026 -2.183 -6.990
74 H 2.792 -0.754 -5.230
75 H 3.465 -2.391 -4.790
76 H 2.394 -1.228 -2.882
77 H 1.364 -2.526 -3.278
78 C -2.150 5.964 0.030
79 C -2.314 5.251 1.360
80 C -3.489 5.740 2.215
81 C -4.662 5.706 1.453
82 N -5.655 5.707 0.872
83 H -1.235 5.595 -0.435
84 H -2.058 7.043 0.152
85 H -2.907 5.733 -0.719
........
End of the records of molecules:
Jacksonville Office
1300 Riverplace Blvd., Suite 405
Jacksonville, FL 32207
SC 870-2720
Fax (904)348-2783
SC Fax 870-2783
Chief: Kelsey Bledsoe
Orlando Office
Century Plaza
135 West Central Boulevard, Suite 1000
Orlando, FL 32801
SC 344-0893
Fax (407)245-0356
SC Fax 344-0356
Chief: Robert Finkbeiner
Tampa Office
Concourse Center 4
3507 Frontage Road, Suite 200
Tampa, FL 33607
SC 585-7960
Fax (813)281-5520
SC Fax 514-4360
Chief: Paul Dontenville
Ft. Lauderdale Office
The 110 Tower
110 S.E. 6th St., Suite 900
Ft. Lauderdale, FL 33301
SC 420-4600
Fax (954)712-4958
SC Fax 420-4958
Deputy Statewide Prosecutor: Julie Chaikin
Ft. Myers Office
4575 Via Royale Corporate Center
4575 Via Royale
Fort Myers, FL 33919
SC 748-2440
Fax (239)338-2341
SC 748-2341
Chief: Timothy Donnelly
Miami Office
Suntrust International Center
One S.E. 3rd Avenue, Suite 900
Miami, FL 33131
(786) 792-6196
Fax (305)377-5927
SC Fax 452-5927
Chief: Jeremy Scott